What Is Simhasana?

Simhasana is a yoga pose that is supposed to resemble a lion. The name comes from the conflagration of two Sanskrit words: ‘Simha’ meaning ‘lion’ and ‘asana’ meaning ‘posture.’ The posture is used mostly to release tension as well as help to exercise muscles in the chest and abdomen. It is often combined with other yoga positions such as the lotus position and with meditation.

Yoga is a physical, mental and spiritual discipline. Coming from India, Yoga aims to help practitioners achieve a balanced life. It combines a series of postures, exercises and breathing techniques, of which simhasana is just one of them. Simhasana is usually started after the lotus position.

== Next to the article, the page also holds records of crystals ==
<<<
Record 1
VASP calculation (meta-GGA SCAN) on a crystal of Hg2Pb relaxed with PBEsol.

POSCAR file:
```
Hg2Pb
1.0
5.9760 0.0000 0.0000
2.9880 5.1754 0.0000
2.9880 1.7251 4.8794
Pb Hg
2 4
Direct
0.5000 0.5000 0.5000
0.7500 0.7500 0.7500
0.1250 0.1250 0.1250
0.1250 0.6250 0.1250
0.1250 0.1250 0.6250
0.6250 0.1250 0.1250
```

## Properties
D(E_F): 0.515 states/eV/atom
formation energy: 0.111 eV/atom
total moment: 0.00 μB per formula unit
ΔE to the lowest computed polymorph: 68 meV per atom

***

Record 2
VASP calculation (meta-GGA SCAN) on a crystal of Hg5Pb3 relaxed with PBEsol.

POSCAR file:
```
Hg5Pb3
1.0
-1.2560 -3.3800 4.5621
1.2006 -7.4448 -5.1852
7.0680 3.5682 4.5895
Hg Pb
10 6
Direct
0.0000 0.6667 0.3333
0.2500 0.7936 0.0000
0.5000 0.6667 0.3333
0.7500 0.2064 0.0000
0.7500 0.7936 0.7936
0.5000 0.3333 0.6667
0.2500 0.2064 0.2064
0.7500 0.0000 0.2064
0.0000 0.3333 0.6667
0.2500 0.0000 0.7936
0.2500 0.3939 0.0000
0.7500 0.6061 0.0000
0.2500 0.0000 0.3939
0.2500 0.6061 0.6061
0.7500 0.3939 0.3939
0.7500 0.0000 0.6061
```

## Properties
D(E_F): 0.437 states/eV/atom
formation energy: 0.061 eV/atom
total moment: 0.00 μB per formula unit
ΔE to the lowest computed polymorph: 0 meV per atom

***

Record 3
VASP calculation (meta-GGA SCAN) on a crystal of HgPb relaxed with PBEsol.

POSCAR file:
```
HgPb
1.0
3.3548 0.0759 0.0000
-1.3309 3.0804 0.0000
0.0000 0.0000 10.2553
Hg Pb
2 2
Direct
0.7500 0.2500 0.8871
0.2500 0.7500 0.1129
0.2500 0.7500 0.6370
0.7500 0.2500 0.3630
```

## Properties
D(E_F): 0.352 states/eV/atom
formation energy: 0.029 eV/atom
total moment: 0.00 μB per formula unit

***

Record 4
VASP calculation (meta-GGA SCAN) on a crystal of Hg3Pb relaxed with PBEsol.

POSCAR file:
```
Hg3Pb
1.0
5.8502 0.0000 0.0000
0.0000 5.8502 0.0000
0.0000 0.0000 5.8502
Hg Pb
6 2
Direct
0.7500 0.5000 0.0000
0.5000 0.0000 0.2500
0.2500 0.5000 0.0000
0.0000 0.7500 0.5000
0.5000 0.0000 0.7500
0.0000 0.2500 0.5000
0.0000 0.0000 0.0000
0.5000 0.5000 0.5000
```

## Properties
D(E_F): 0.349 states/eV/atom
formation energy: 0.068 eV/atom
total moment: 0.00 μB per formula unit

***

Record 5
VASP calculation (meta-GGA SCAN) on a crystal of HgPb relaxed with PBEsol.

POSCAR file:
```
HgPb
1.0
-1.3634 -3.8894 -4.3336
5.7274 -1.6992 -0.2769
-1.0512 -4.2133 4.1121
Hg Pb
4 4
Direct
0.4044 0.4044 0.4044
0.5956 0.9044 0.0956
0.9044 0.0956 0.5956
0.0956 0.5956 0.9044
0.0986 0.0986 0.0986
0.5986 0.4014 0.9014
0.4014 0.9014 0.5986
0.9014 0.5986 0.4014
```

## Properties
D(E_F): 0.505 states/eV/atom
formation energy: 0.055 eV/atom
total moment: 0.00 μB per formula unit

***

Record 6
VASP calculation (meta-GGA SCAN) on a crystal of Hg3Pb relaxed with PBEsol.

POSCAR file:
```
Hg3Pb
1.0
-2.3730 -3.5695 -1.6504
-0.5051 -1.6349 4.2624
-6.4885 7.4474 -0.3870
Hg Pb
6 2
Direct
0.5000 0.0000 0.0000
0.8729 0.8729 0.7459
0.2500 0.7500 0.5000
0.0000 0.5000 0.0000
0.7500 0.2500 0.5000
0.1271 0.1271 0.2541
0.3763 0.3763 0.7527
0.6237 0.6237 0.2473
```

## Properties
>>>
== End of the records of crystals ==

Practicing simhasana is a five-step process. First, the person doing simhasana kneels on the floor and then crosses one leg over the other at the ankle. The buttocks will then rest on the feet as they point roughly to the sides.

Second, the practitioner places his or her hands on his or her knees with the palms down and fingers splayed wide open. The person performing the yoga is encouraged to treat his or her hands as if they were lion’s claws. A lack of inhibition is essential for this and for stage three.

During stage three, the person doing simhasana takes a deep breath through his or her nose. This is done while leaning forwards, arching the back a little, and with the jaw stretched wide open. A lack of inhibition is required for this stage because the tongue should be stretched out as far as possible. Eyes are usually focused on the tip of the nose, too. The self-conscious should consider doing this in private with the door locked and the curtains closed.

During the fourth stage, the posture adopted in stage three is held as long as breath is exhaled. Once exhaled, the posture is relaxed, eyes are closed and the tongue is retracted. Step five involves repeating the process and adding additional elements to it. This can include roaring like a lion. If the posture is repeated a few times, many practitioners swap which foot is over the other so neither leg goes to sleep.

Inserted here: crystal structures.
- - -
No. 1
A plane-wave DFT calculation with PBE was carried out for a geometry-optimized CsTl2In structure.

Structure (POSCAR):
```
CsTl2In
1.0
2.541 1.467 7.594
-2.541 1.467 7.594
0.000 -2.934 7.594
Cs Tl In
1 2 1
Direct
0.000 0.000 0.000
0.213 0.213 0.213
0.450 0.450 0.450
0.822 0.822 0.822
```

Output
Total DFT energy (no corrections), eV/atom: -2.1638
Spin magnetization, μB per formula unit: 0.0
Formation enthalpy at 0 K, eV per atom: -0.083
Symmetry: R3m, No. 160
Energy above the most stable polymorph in this dataset, meV per atom: 21
DOS(E_F), states/eV/atom: 0.419



No. 2
A plane-wave DFT calculation with PBE was carried out for a geometry-optimized CsTl2In8 structure.

Structure (POSCAR):
```
CsTl2In8
1.0
5.572 0.000 0.000
0.000 5.572 0.000
0.000 0.000 12.697
Cs Tl In
1 2 8
Direct
0.000 0.000 0.000
0.000 0.000 0.363
0.000 0.000 0.637
0.000 0.500 0.234
0.000 0.500 0.500
0.000 0.500 0.766
0.500 0.000 0.234
0.500 0.000 0.500
0.500 0.000 0.766
0.500 0.500 0.366
0.500 0.500 0.634
```

Output
Total DFT energy (no corrections), eV/atom: -2.4673
Spin magnetization, μB per formula unit: 0.0
Formation enthalpy at 0 K, eV per atom: 0.032
Symmetry: P4/mmm, No. 123
DOS(E_F), states/eV/atom: 0.283



No. 3
A plane-wave DFT calculation with PBE was carried out for a geometry-optimized CsTl2In structure.

Structure (POSCAR):
```
CsTl2In
1.0
6.191 0.000 0.000
0.000 6.191 0.000
0.000 0.000 3.886
Cs Tl In
1 2 1
Direct
0.000 0.000 0.000
0.000 0.500 0.500
0.500 0.000 0.500
0.500 0.500 0.000
```

Output
Total DFT energy (no corrections), eV/atom: -1.9552
Spin magnetization, μB per formula unit: 0.0
Formation enthalpy at 0 K, eV per atom: 0.126
Symmetry: P4/mmm, No. 123
Energy above the most stable polymorph in this dataset, meV per atom: 229
DOS(E_F), states/eV/atom: 0.697



No. 4
A plane-wave DFT calculation with PBE was carried out for a geometry-optimized CsTl10In2 structure.

Structure (POSCAR):
```
CsTl10In2
1.0
0.000 8.026 8.181
3.248 0.000 8.181
3.248 8.026 0.000
Cs Tl In
1 10 2
Direct
0.000 0.000 0.000
0.000 0.000 0.500
0.004 0.358 0.642
0.282 0.496 0.504
0.358 0.004 0.996
0.496 0.282 0.718
0.500 0.500 0.000
0.504 0.718 0.282
0.642 0.996 0.004
0.718 0.504 0.496
0.996 0.642 0.358
0.000 0.500 0.000
0.500 0.000 0.500
```

Output
Total DFT energy (no corrections), eV/atom: -2.3284
Spin magnetization, μB per formula unit: 0.0
Formation enthalpy at 0 K, eV per atom: -0.021
Symmetry: Fmmm, No. 69
DOS(E_F), states/eV/atom: 0.465



No. 5
A plane-wave DFT calculation with PBE was carried out for a geometry-optimized Cs5Tl2In structure.

Structure (POSCAR):
```
Cs5Tl2In
1.0
2.558 -8.779 0.000
2.558 8.779 0.000
0.000 0.000 24.654
Cs Tl In
10 4 2
Direct
0.053 0.947 0.750
0.157 0.843 0.573
0.157 0.843 0.927
0.402 0.598 0.614
0.402 0.598 0.886
0.598 0.402 0.114
0.598 0.402 0.386
0.843 0.157 0.073
0.843 0.157 0.427
0.947 0.053 0.250
0.250 0.750 0.182
0.250 0.750 0.318
0.750 0.250 0.682
0.750 0.250 0.818
0.276 0.724 0.750
0.724 0.276 0.250
```

Output
- - -

Simhasana stretches the muscles of the face as well as exercising the abdomen and chest muscles. It is also good for sore throats. It can be used as one of many exercises to work on voice difficulties such as stammering.

## Between two parts of the piece: records of crystals
-- begin --
# 1
Material: Tb3PrNd2Ho6
Method: DFT, PBE
State: optimized geometry

Computed properties:
volume	386.67	Å³ per cell
calculated formation energy	0.0172	eV/atom

The structure in POSCAR format:
```
Tb3PrNd2Ho6
1.0
3.101 -5.369 0.000
3.101 5.369 0.000
-2.059 0.000 11.612
Tb Pr Nd Ho
3 1 2 6
Direct
0.000 0.000 0.000
0.333 0.667 0.000
0.667 0.333 0.000
0.500 0.500 0.500
0.167 0.833 0.500
0.833 0.167 0.500
0.081 0.415 0.247
0.252 0.252 0.753
0.415 0.081 0.247
0.585 0.919 0.753
0.748 0.748 0.247
0.919 0.585 0.753
```

=====

# 2
Material: TaMoRh4
Method: DFT, PBE
State: optimized geometry

Computed properties:
volume	92.84	Å³ per cell
calculated formation energy	0.0176	eV/atom

The structure in POSCAR format:
```
TaMoRh4
1.0
0.000 3.594 3.594
3.594 0.000 3.594
3.594 3.594 0.000
Ta Mo Rh
1 1 4
Direct
0.000 0.000 0.000
0.750 0.750 0.750
0.375 0.375 0.375
0.375 0.375 0.874
0.375 0.874 0.375
0.874 0.375 0.375
```


Entry 1:
Density functional theory data (GGA+U) for a relaxed structure of CsCdMo2O8.

abc: 5.6306 5.6306 26.6634
angles: 90.00 90.00 120.00
Space group R-3 (No. 148, hexagonal axes)
Inequivalent atoms, fractional coordinates:
Cs: 0.0000 0.0000 0.0000 (multiplicity 3)
Cd: 0.0000 0.0000 0.5000 (multiplicity 3)
Mo: 0.0000 0.0000 0.2366 (multiplicity 6)
O: 0.0000 0.0000 0.3030 (multiplicity 6)
O: 0.0135 0.3742 0.8833 (multiplicity 18)

Magnetization in μB/cell: 3.48
Theoretical density in g/cm3: 3.85
Uncorrected energy in eV for the cell shown: -218.73

Entry 2:
Density functional theory data (GGA+U) for a relaxed structure of CsCdMoO4.

abc: 5.625 6.136 8.901
angles: 90.00 101.01 90.00
Space group P2_1/m (No. 11)
Inequivalent atoms, fractional coordinates:
Cs: 0.201 0.250 0.099 (multiplicity 2)
Cd: 0.147 0.750 0.563 (multiplicity 2)
Mo: 0.447 0.250 0.711 (multiplicity 2)
O: 0.260 0.750 0.171 (multiplicity 2)
-- stop --

There are some precautions to be taken other than hiding for the shy. Simhasana can aggravate back and neck pain. In this case, the exercise can be adapted so neck and back movements are restricted.